
Identifying the Need

As we go about our day to day lives we all have different needs.  Some of our needs are easy to know and in times of conflict or struggle it can take a little longer to figure out what they are.  As a parent coach I help parents figure out what their own needs are, however, I also help them identify their children’s needs too.  Children need help developing the skill of not only identifying the need but communicating it.  As they act out in all different ways  we sometimes have to step back and look at the bigger picture.  Does a child need some quiet space, are they hungry, are they tired or are they trying to tell us something that they can’t express into words, and so forth.

(Data records from another source follow)
~~~
31
Properties=species:S:1:pos:R:3:forces:R:3:lowdin_charge:R:1 method="wB97M-V/def2-TZVPD" molar_mass_g_mol=238.44 fmax_ev_per_a=3.3 relative_energy_kcal_mol=17.8
C -1.424591 1.299238 0.926852 -0.499 1.490 1.001 -0.14
C -2.081239 1.214821 -0.474888 3.049 -0.087 -1.241 -0.37
C -3.478223 0.725595 -0.582917 -1.419 0.008 1.120 -0.55
C -1.242533 -2.289298 0.292964 1.032 0.255 0.801 -0.52
C -0.091695 -2.401425 -0.428513 -1.817 -1.009 0.949 -0.25
C 1.224494 -2.668404 0.274483 -1.474 -0.068 1.045 -0.38
C 1.849118 -0.163061 -0.085248 -1.748 -0.416 0.902 -0.39
C 2.734280 0.999548 -0.415207 0.993 0.019 0.438 -0.32
C 2.079199 2.335449 -0.189692 0.367 2.067 -0.668 -0.14
H -1.288078 0.377250 1.536119 0.057 0.291 -1.042 0.05
H -0.426916 1.871198 0.834540 -1.668 -0.948 0.348 0.07
H -2.156575 1.887439 1.592914 1.227 -0.400 -0.842 0.09
H -1.991979 2.256800 -0.929317 -0.255 -1.244 0.442 0.12
H -1.394899 0.546147 -1.141696 -1.143 1.037 0.968 0.12
H -4.188886 1.460441 -0.073585 0.701 -0.931 -0.682 0.10
H -3.808750 0.549083 -1.604025 0.056 0.232 -0.040 0.07
H -1.232730 -2.187901 1.451404 -0.054 -0.146 -2.158 0.11
H -0.236917 -2.610180 -1.496753 0.482 0.362 0.251 0.11
H 1.122680 -2.310752 1.309623 0.001 -0.185 -0.025 0.09
H 1.382986 -3.753419 0.355656 0.477 0.356 -0.417 0.11
H 1.563673 -0.253923 0.991712 0.277 0.666 -0.482 0.11
H 0.855370 -0.121122 -0.628740 1.169 -0.136 0.299 0.10
H 3.071712 0.924229 -1.459693 0.026 -0.020 0.283 0.12
H 3.630978 0.989875 0.253010 -0.494 -0.303 -0.684 0.13
H 1.196338 2.564905 -0.849735 0.866 -0.330 0.547 0.09
H 1.797632 2.524803 0.840871 -0.299 -0.387 0.256 0.06
H 2.869512 3.139324 -0.344755 -1.024 -0.817 -0.223 0.09
O 3.760053 -1.948119 0.529798 -0.125 0.165 0.534 -0.51
S -3.832775 -0.817243 0.366936 -0.427 0.456 0.313 0.47
S -2.859271 -2.373810 -0.484764 0.923 0.182 0.043 0.50
S 2.598045 -1.767488 -0.367345 0.742 -0.158 -2.035 0.87


37
Properties=species:S:1:pos:R:3:forces:R:3:lowdin_charge:R:1 method="wB97M-V/def2-TZVPD" molar_mass_g_mol=576.74 total_charge=+2 fmax_ev_per_a=6.8
C -3.315992 1.566762 0.358771 0.748 -0.006 0.648 -0.07
C -1.940092 2.454340 0.223762 0.180 0.391 -0.440 -0.35
C -0.815523 1.771008 -0.808865 -3.060 0.141 0.510 -0.66
Br 0.536948 3.198047 -1.172431 2.365 -1.328 1.045 0.89
Al -0.039266 0.056661 0.050786 -2.411 1.178 1.411 0.31
B 2.030767 -0.065339 -0.067472 6.667 -0.759 -0.740 -0.36
O 2.649286 -1.164655 0.755309 -2.432 3.675 -0.711 0.06
O 2.888269 0.800453 -0.900198 -2.730 -2.827 2.975 -0.11
C 4.316279 0.473854 -0.766841 2.508 0.581 -1.065 -0.06
C -0.507650 0.151678 2.052993 0.694 1.260 1.775 -0.28
C 0.464812 1.351148 2.695275 0.155 -1.370 -0.275 -0.08
F -0.193534 -1.072069 2.825691 -0.653 1.629 -1.392 -0.17
C -0.871415 -1.528602 -0.953370 -0.266 -3.124 -2.228 -0.60
I -0.607112 -1.078209 -3.123654 -0.360 -0.107 1.561 1.09
C -0.128640 -2.970720 -0.717253 0.692 0.609 -1.496 -0.78
C -0.557328 -3.998721 -1.965301 -0.662 -2.112 1.088 -0.25
I -0.764373 -4.018730 1.126039 0.597 1.113 -1.284 1.08
~~~

The other day my youngest woke up for school ready to start the day.  We were all ‘off our mark’ a little bit, as it was only the second day back after having two weeks off for spring break.  His older brothers were informed the day before that they were to wear their school blazers because of an assembly.  On Tuesdays my little guy wears a special gym uniform.  It is so cozy.  Imagine grey sweat pants with a warm grey sweat shirt.  I would love to wear this every day.  However, on this day he refused to put it on and insisted he too should wear his blazer uniform like his brothers.  With tears and staggered speech he begs me to email his teacher.  I, being the diplomatic parent that I am, provide the logical suggestion of getting into the gym clothes and packing the blazer and other apparel.  When we got to his classroom we could then ask the teacher and change in the bathroom if we had too.  He, being 6 and behaving accordingly, undiplomatically disagreed.  My internal mommy dialogue goes something like this: holy mother of pete, just put on the freaking sweat pants, who wouldn’t want to wear those sweat pants, its 7:35 and I am not nearly awake or even alive enough to be processing this kind of illogical meltdown and really we only have 9 weeks of school left couldn’t you just go with the flow, do what your told, and put on those fuzzy sweat pants before I loose my marbles and make everyone walk to school and then book a flight to Maui alone!!!!  After my internal moment, I take a breath and look for the need.  The truth is that my original and very logical plan won’t work for him, as it didn’t address his  need.  His need is to avoid feeling embarrassed and for him to show up in the wrong uniform would elicit that emotion.  A feeling he has had very little experience with, but knowing him well, I know that he does not like to be the centre of attention.  I pulled out my phone and together we emailed his teacher… it went something like this:  ‘Dear Ms. W.  Some Healey morning confusion… does K need to be in his blazer? Is it officially summer uniform?  When can I have my morning coffee? How many days till Summer exactly?  Would you like three boys for a seven day sleepover so that I can go to Maui?  Question 1 and 2 are relevant the others are bonus questions.  Compassionately, Margery.’

<<<
A 13-piece molecular cluster, C21H68O13 overall. Source: the Open Molecules 2025 dataset; level of theory: the ωB97M-V functional and the def2-TZVPD basis.

## Properties
- Charge: 0
- Energy above the lowest of the compared OMol25 structures with the same formula, charge and spin: 87.5 kcal/mol
- Energy: -49493.2135 eV
- Orbital gap: 10.40 eV
- E_HOMO: -9.85 eV

Each line ends with the Mulliken charge.
Geometry (Å):
C: 4.168791 1.075731 2.652531  -1.0110
O: 3.206697 0.447194 1.755668  0.0143
H: 4.770676 0.238097 3.099802  0.2685
H: 4.803790 1.668427 2.049693  0.4041
H: 3.672084 1.751767 3.357952  0.2668
H: 2.834059 -0.261355 2.323847  0.2572
C: 2.488308 -1.876936 -3.578256  -0.8310
O: 1.922690 -1.829799 -2.280162  -0.0880
H: 2.445321 -0.893371 -4.071758  0.2851
H: 3.544885 -2.271553 -3.530373  0.2516
H: 1.893557 -2.603260 -4.105005  0.2617
H: 2.407434 -1.103158 -1.829634  0.3149
C: -3.494743 0.788063 3.728002  -0.2415
O: -2.539049 -0.308634 3.789506  -0.4829
H: -3.436651 1.155967 2.693663  -0.0570
H: -4.460600 0.375378 3.985908  0.2321
H: -3.158704 1.558116 4.414488  0.2708
H: -2.467614 -0.703504 2.893921  0.2821
C: 3.890626 1.051871 -1.321263  -0.6555
O: 3.388712 -0.160576 -0.805729  -0.5273
H: 4.957184 1.303576 -1.069953  0.2398
H: 3.819706 0.963649 -2.382057  0.3121
H: 3.273576 1.870437 -1.005689  0.1357
H: 3.168122 0.017544 0.097104  0.2973
C: -1.494034 -3.183653 -0.579995  -0.1264
O: -1.946361 -4.521799 -0.699174  -0.6332
H: -0.756701 -2.886808 -1.360842  -0.1073
H: -2.328211 -2.434170 -0.573433  0.2551
H: -1.067607 -3.101304 0.397449  0.2455
H: -2.596947 -4.577231 -1.425128  0.3381
C: -4.978062 0.195209 0.153626  -1.0210
O: -3.613845 0.501086 0.085044  -0.0899
H: -5.522343 0.386423 -0.786421  0.3561
H: -4.976561 -0.858684 0.425950  0.3481
H: -5.530876 0.781270 0.925906  0.2780
H: -3.648118 1.206589 -0.526275  0.1368
C: 1.841352 3.975952 1.010302  -0.4701
O: 1.224662 3.872014 -0.293534  -0.4978
H: 1.123142 4.366962 1.717574  0.3532
H: 2.122858 3.024707 1.468707  -0.0482
H: 2.720814 4.673358 0.973910  0.2389
H: 0.430663 3.341441 -0.144394  0.2279
C: -0.103184 4.285301 -3.741525  -0.8175
O: -1.091491 3.343804 -3.243616  -0.6236
H: 0.524986 4.587214 -2.927301  0.2438
H: 0.512131 3.868577 -4.535086  0.3306
H: -0.708989 5.059968 -4.213470  0.2824
H: -0.594188 2.609197 -2.842109  0.1259
C: -1.780327 -3.342886 -4.063164  -0.4909
O: -3.091836 -3.198358 -3.508133  -0.5050
H: -1.338351 -2.334047 -4.243176  0.1558
H: -1.099355 -3.907734 -3.469314  0.2180
H: -1.941503 -3.857276 -5.029981  0.3608
H: -3.515351 -2.390375 -3.819670  0.2911
C: 1.715991 -2.910966 5.148388  -1.4795
C: 1.384223 -1.770421 4.179476  1.0996
C: 0.948355 -0.486038 4.782453  -1.3143
O: 2.541869 -1.545210 3.432511  -0.4893
H: 2.382054 -2.639275 5.933417  0.3089
H: 2.125905 -3.769342 4.537319  0.4000
H: 0.804594 -3.292062 5.604146  0.4245
H: 0.557414 -2.119455 3.505611  -0.1114
H: 0.804969 0.292033 4.012970  0.1709
H: 1.703114 -0.143137 5.458324  0.3917
>>>

After we sent the email I told him that most likely we would get a response before we got to school and that if we had too we could change in the car.  All functioning was restored as he happily brushed his teeth and slipped into the grey sweats.  Many times our children are just having a moment, yet sometimes we can help them figure out how to communicate something a little bit deeper – a skill that will help them in years to come.  As parents our needs are just as important and for me it was to enjoy my coffee right after I dropped them all off at school!

[Someone pasted molecular data at this point]
-- begin --
ORCA calculation (ωB97M-V/def2-TZVPD) on a structure of composition C19H24GeMoN3O5.

XYZ file:
```
53
C19H24GeMoN3O5 | the Open Molecules 2025 dataset | ωB97M-V/def2-TZVPD
Mo 0.112 0.228 0.146
C -0.623 4.114 -1.303
C -0.563 3.225 -0.106
O 0.337 2.352 -0.006
N -1.480 3.381 0.840
C -1.589 2.493 1.998
C -2.463 1.293 1.718
C -3.701 1.180 2.317
C -4.503 0.082 2.031
C -4.043 -0.862 1.135
C -2.788 -0.689 0.576
N -2.001 0.355 0.867
H 0.387 4.389 -1.600
H -1.214 5.010 -1.125
H -1.067 3.549 -2.125
H -2.200 4.071 0.699
H -2.010 3.068 2.820
H -0.588 2.183 2.291
H -4.040 1.941 3.006
H -5.473 -0.022 2.500
H -4.630 -1.728 0.866
H -2.381 -1.399 -0.131
C 2.288 -3.094 2.894
Ge 0.613 -2.558 2.059
C 0.252 -3.619 0.459
C -0.886 -2.623 3.318
C 0.780 -0.636 1.600
H 2.223 -4.134 3.215
H 2.509 -2.480 3.767
H 3.115 -3.008 2.189
H -0.796 -3.917 0.411
H 0.855 -4.527 0.487
H 0.491 -3.091 -0.462
H -1.449 -3.549 3.202
H -1.568 -1.787 3.147
H -0.535 -2.565 4.348
H 1.144 0.044 2.383
O -0.292 -1.865 -3.289
C 0.101 -1.111 -2.447
O -0.586 -0.836 -1.331
C 1.399 -0.351 -2.599
C 2.102 0.189 -1.529
C 3.272 0.917 -1.719
C 3.754 1.110 -3.001
C 3.045 0.564 -4.056
C 1.888 -0.164 -3.886
N 3.552 0.777 -5.434
O 4.582 1.406 -5.550
O 2.904 0.307 -6.341
H 1.933 -0.011 -0.445
H 3.805 1.315 -0.867
H 4.659 1.664 -3.202
H 1.366 -0.582 -4.735
```

## Properties
- relative energy (zero: lowest compared OMol25 entry of this formula, charge and spin) (kJ/mol) = 17.9
- LUMO (eV) = -3.3079
- net charge = +1
- gap between HOMO and LUMO (hartree) = 0.27625
- multiplicity = 1
- HOMO level (eV) = -10.83

=====

ORCA calculation (ωB97M-V/def2-TZVPD) on a cluster of 2 separate species, C2H8OS2 in total in a non-equilibrium geometry.

XYZ file:
```
13
C2H8OS2 | the Open Molecules 2025 dataset | ωB97M-V/def2-TZVPD
C -1.581 -0.792 -1.405
S 0.210 -0.356 -0.988
S 0.036 0.695 0.687
C 0.278 -0.379 2.151
H -1.563 -1.658 -2.087
H -2.048 0.059 -1.929
H -2.200 -1.047 -0.528
H -0.215 -1.353 1.993
H -0.154 0.091 3.051
H 1.353 -0.553 2.327
O 2.269 1.706 -0.839
H 1.425 1.201 -0.884
H 2.190 2.385 -1.547
```

## Properties
- relative energy (zero: lowest compared OMol25 entry of this formula, charge and spin) (kJ/mol) = 81.0
- LUMO (eV) = 0.7623
- SMILES string = CSSC.O
- gap between HOMO and LUMO (hartree) = 0.35853
- multiplicity = 1
- HOMO level (eV) = -8.99

=====

ORCA calculation (ωB97M-V/def2-TZVPD) on a cluster of 2 separate species, H5NS in total.

XYZ file:
```
7
H5NS | the Open Molecules 2025 dataset | ωB97M-V/def2-TZVPD
N 1.357 0.155 -2.640
H 0.649 0.717 -3.083
H 0.904 -0.707 -2.404
H 1.529 0.582 -1.750
S -0.762 -0.029 1.477
H 0.378 -0.608 1.925
H -0.681 -0.788 0.369
```

## Properties
- relative energy (zero: lowest compared OMol25 entry of this formula, charge and spin) (kJ/mol) = 12.9
- LUMO (eV) = 0.7108
- SMILES string = N.S
- gap between HOMO and LUMO (hartree) = 0.39178
- multiplicity = 1
- HOMO level (eV) = -9.95

----------

{
  "formula": "C52H59N3OP2S6Zr",
-- stop --

No matter what, no matter how, where or who – you can always turn around and get a second chance.
